File
<<<
Below is an optimized crystal structure of HoAgPd14, with properties calculated at the PBE level.

Cell and atoms, written as extended XYZ:
```
16
Lattice="5.650 0.000 0.000 0.000 5.650 0.000 0.000 0.000 8.050" Properties=species:S:1:pos:R:3 pbc="T T T"
Ho 0.000 0.000 0.000
Ag 2.825 2.825 0.000
Pd 0.000 0.000 4.025
Pd 0.000 2.825 0.000
Pd 0.000 2.825 4.025
Pd 1.417 1.417 2.055
Pd 1.417 1.417 5.995
Pd 1.417 4.233 2.055
Pd 1.417 4.233 5.995
Pd 2.825 0.000 0.000
Pd 2.825 0.000 4.025
Pd 2.825 2.825 4.025
Pd 4.233 1.417 2.055
Pd 4.233 1.417 5.995
Pd 4.233 4.233 2.055
Pd 4.233 4.233 5.995
```

Results
ΔH_f (0 K): -0.21 eV/atom
Total magnetization: 0.00 μB per formula unit
Volume: 16.1 A^3/atom
>>>

Job
Reproduce only the lines above with the word "atoms" in them.

Solution
Cell and atoms, written as extended XYZ: